## Contents
<<<
#i
A single C6H11N molecule, computed with ωB97M-V/def2-TZVPD.

Properties
HOMO (Ha): -0.298
Net charge: 0
Kohn-Sham gap (eV): 9.28
2S+1: 1
LUMO (eV): 1.16

Each line ends with the Mulliken charge.
Positions of all 18 atoms, in Å:
C -0.36 -0.31 -3.33  -0.752
C -0.63 -0.51 -2.03  -0.119
C -0.67 0.70 -1.17  -0.360
N -1.18 0.45 0.23  -0.407
C -0.09 0.61 1.21  -0.407
C 0.32 -0.38 1.99  -0.050
C 1.39 -0.24 2.95  -1.161
H -0.41 0.62 -4.00  0.244
H -0.19 -1.26 -3.83  0.247
H -0.48 -1.54 -1.71  0.257
H 0.19 1.37 -1.33  0.343
H -1.47 1.43 -1.69  0.245
H -1.69 -0.54 0.17  0.274
H 0.31 1.60 1.15  0.377
H -0.08 -1.25 1.68  0.354
H 1.70 -1.12 3.45  0.357
H 2.18 0.08 2.34  0.290
H 1.15 0.29 3.93  0.268


#ii
A single C6H11N molecule, computed with ωB97M-V/def2-TZVPD.

Properties
HOMO (Ha): -0.279
Net charge: 0
Kohn-Sham gap (eV): 8.73
2S+1: 1
LUMO (eV): 1.14

Each line ends with the Mulliken charge.
Positions of all 18 atoms, in Å:
C -2.14 0.37 1.85  -1.272
C -1.28 0.34 0.62  -0.276
C 0.03 0.08 0.69  0.635
N 0.72 -0.12 1.87  -0.468
C 0.91 0.00 -0.52  -0.495
C 0.46 -0.20 -1.75  -0.095
C 1.33 -0.38 -2.93  -1.206
H -1.78 -0.39 2.55  0.342
H -3.15 0.04 1.58  0.341
H -2.34 1.31 2.38  0.260
H -1.76 0.67 -0.29  0.321
H 1.49 -0.75 1.96  0.181
H 0.31 0.10 2.77  0.201
H 1.97 0.15 -0.36  0.333
H -0.61 -0.30 -1.92  0.272
H 2.37 -0.61 -2.66  0.316
H 1.16 0.36 -3.71  0.300
H 1.10 -1.31 -3.48  0.312


Most stable structure, least stable structure: #ii, #i.


#i
A single C6H11N molecule, computed with ωB97M-V/def2-TZVPD.

Properties
HOMO (Ha): -0.363
Net charge: 0
Kohn-Sham gap (eV): 10.80
2S+1: 1
LUMO (eV): 0.93

Each line ends with the Mulliken charge.
Positions of all 18 atoms, in Å:
C 1.17 2.16 0.24  -1.275
C 0.70 0.87 0.90  -0.182
C 0.60 -0.33 -0.11  -0.960
C -0.86 -0.74 -0.52  0.716
C -1.00 -2.21 -0.91  -1.470
C -1.68 -0.28 0.60  0.146
N -1.71 0.45 1.50  -0.595
H 0.94 2.99 0.92  0.377
H 2.24 2.19 0.03  0.316
H 0.63 2.35 -0.70  0.300
H 1.36 0.56 1.71  0.297
H -0.30 1.16 1.53  0.288
H 1.13 -0.11 -1.05  0.382
H 1.09 -1.23 0.29  0.362
H -1.18 -0.12 -1.37  0.195
H -0.41 -2.42 -1.81  0.345
H -0.66 -2.87 -0.12  0.372
H -2.05 -2.45 -1.13  0.385


#ii
A single C6H11N molecule, computed with ωB97M-V/def2-TZVPD.

Properties
HOMO (Ha): -0.274
Net charge: 0
Kohn-Sham gap (eV): 8.40
2S+1: 1
LUMO (eV): 0.95

Each line ends with the Mulliken charge.
Positions of all 18 atoms, in Å:
C 1.64 1.66 -1.29  -0.931
C 0.46 1.19 -0.87  -0.260
C 0.20 0.32 0.28  0.824
C 1.32 0.06 1.25  -1.682
C -0.76 -0.63 0.16  0.754
C -2.00 -0.48 -0.66  -1.544
N -0.70 -1.81 0.92  -0.505
H 1.70 2.36 -2.11  0.266
H 2.55 1.35 -0.79  0.220
H -0.41 1.38 -1.48  0.085
H 1.77 -0.93 1.08  0.393
H 1.01 0.06 2.30  0.381
H 2.11 0.79 1.11  0.412
H -2.17 0.55 -0.95  0.365
H -2.90 -0.80 -0.13  0.452
H -1.95 -1.11 -1.55  0.317
H -0.31 -1.65 1.84  0.211
H -1.56 -2.33 0.90  0.241


Most stable structure, least stable structure: #ii, #i.


#i
2 unconnected molecules or ions with the total composition C2H8S, computed with ωB97M-V/def2-TZVPD.

Properties
HOMO (Ha): -0.361
Net charge: 0
Kohn-Sham gap (eV): 10.74
2S+1: 1
LUMO (eV): 0.92

Each line ends with the Mulliken charge.
Positions of all 11 atoms, in Å:
C -1.07 1.70 0.17  -0.819
C -0.68 1.91 -1.34  -0.714
H -1.44 0.66 0.20  0.232
H -1.71 2.45 0.60  0.284
H -0.21 1.87 0.71  0.291
H -1.34 1.25 -1.99  0.235
H -0.76 2.97 -1.49  0.251
H 0.35 1.61 -1.42  0.241
S 2.38 -4.84 0.85  -0.291
H 3.12 -4.63 2.01  0.151
H 1.36 -4.96 1.69  0.140


#ii
2 unconnected molecules or ions with the total composition C2H8S, computed with ωB97M-V/def2-TZVPD.

Properties
HOMO (Ha): -0.329
Net charge: 0
Kohn-Sham gap (eV): 9.94
2S+1: 1
LUMO (eV): 0.98

Each line ends with the Mulliken charge.
Positions of all 11 atoms, in Å:
C -0.87 -3.99 1.19  -0.639
S -1.67 -5.20 2.43  -0.208
H -0.89 -2.86 1.34  0.300
H 0.19 -4.40 0.96  0.213
H -1.59 -4.39 0.46  0.224
H -2.25 -4.30 3.18  0.110
C 1.43 5.06 -1.94  -0.894
H 0.85 4.54 -2.66  0.238
H 0.72 5.30 -1.12  0.219
H 1.92 5.91 -2.34  0.223
>>>

## Assignment
Could you return the lines further above from the first line to the one with "-1.94" character by character?

## Here it is
#i
A single C6H11N molecule, computed with ωB97M-V/def2-TZVPD.

Properties
HOMO (Ha): -0.298
Net charge: 0
Kohn-Sham gap (eV): 9.28
2S+1: 1
LUMO (eV): 1.16

Each line ends with the Mulliken charge.
Positions of all 18 atoms, in Å:
C -0.36 -0.31 -3.33  -0.752
C -0.63 -0.51 -2.03  -0.119
C -0.67 0.70 -1.17  -0.360
N -1.18 0.45 0.23  -0.407
C -0.09 0.61 1.21  -0.407
C 0.32 -0.38 1.99  -0.050
C 1.39 -0.24 2.95  -1.161
H -0.41 0.62 -4.00  0.244
H -0.19 -1.26 -3.83  0.247
H -0.48 -1.54 -1.71  0.257
H 0.19 1.37 -1.33  0.343
H -1.47 1.43 -1.69  0.245
H -1.69 -0.54 0.17  0.274
H 0.31 1.60 1.15  0.377
H -0.08 -1.25 1.68  0.354
H 1.70 -1.12 3.45  0.357
H 2.18 0.08 2.34  0.290
H 1.15 0.29 3.93  0.268


#ii
A single C6H11N molecule, computed with ωB97M-V/def2-TZVPD.

Properties
HOMO (Ha): -0.279
Net charge: 0
Kohn-Sham gap (eV): 8.73
2S+1: 1
LUMO (eV): 1.14

Each line ends with the Mulliken charge.
Positions of all 18 atoms, in Å:
C -2.14 0.37 1.85  -1.272
C -1.28 0.34 0.62  -0.276
C 0.03 0.08 0.69  0.635
N 0.72 -0.12 1.87  -0.468
C 0.91 0.00 -0.52  -0.495
C 0.46 -0.20 -1.75  -0.095
C 1.33 -0.38 -2.93  -1.206
H -1.78 -0.39 2.55  0.342
H -3.15 0.04 1.58  0.341
H -2.34 1.31 2.38  0.260
H -1.76 0.67 -0.29  0.321
H 1.49 -0.75 1.96  0.181
H 0.31 0.10 2.77  0.201
H 1.97 0.15 -0.36  0.333
H -0.61 -0.30 -1.92  0.272
H 2.37 -0.61 -2.66  0.316
H 1.16 0.36 -3.71  0.300
H 1.10 -1.31 -3.48  0.312


Most stable structure, least stable structure: #ii, #i.


#i
A single C6H11N molecule, computed with ωB97M-V/def2-TZVPD.

Properties
HOMO (Ha): -0.363
Net charge: 0
Kohn-Sham gap (eV): 10.80
2S+1: 1
LUMO (eV): 0.93

Each line ends with the Mulliken charge.
Positions of all 18 atoms, in Å:
C 1.17 2.16 0.24  -1.275
C 0.70 0.87 0.90  -0.182
C 0.60 -0.33 -0.11  -0.960
C -0.86 -0.74 -0.52  0.716
C -1.00 -2.21 -0.91  -1.470
C -1.68 -0.28 0.60  0.146
N -1.71 0.45 1.50  -0.595
H 0.94 2.99 0.92  0.377
H 2.24 2.19 0.03  0.316
H 0.63 2.35 -0.70  0.300
H 1.36 0.56 1.71  0.297
H -0.30 1.16 1.53  0.288
H 1.13 -0.11 -1.05  0.382
H 1.09 -1.23 0.29  0.362
H -1.18 -0.12 -1.37  0.195
H -0.41 -2.42 -1.81  0.345
H -0.66 -2.87 -0.12  0.372
H -2.05 -2.45 -1.13  0.385


#ii
A single C6H11N molecule, computed with ωB97M-V/def2-TZVPD.

Properties
HOMO (Ha): -0.274
Net charge: 0
Kohn-Sham gap (eV): 8.40
2S+1: 1
LUMO (eV): 0.95

Each line ends with the Mulliken charge.
Positions of all 18 atoms, in Å:
C 1.64 1.66 -1.29  -0.931
C 0.46 1.19 -0.87  -0.260
C 0.20 0.32 0.28  0.824
C 1.32 0.06 1.25  -1.682
C -0.76 -0.63 0.16  0.754
C -2.00 -0.48 -0.66  -1.544
N -0.70 -1.81 0.92  -0.505
H 1.70 2.36 -2.11  0.266
H 2.55 1.35 -0.79  0.220
H -0.41 1.38 -1.48  0.085
H 1.77 -0.93 1.08  0.393
H 1.01 0.06 2.30  0.381
H 2.11 0.79 1.11  0.412
H -2.17 0.55 -0.95  0.365
H -2.90 -0.80 -0.13  0.452
H -1.95 -1.11 -1.55  0.317
H -0.31 -1.65 1.84  0.211
H -1.56 -2.33 0.90  0.241


Most stable structure, least stable structure: #ii, #i.


#i
2 unconnected molecules or ions with the total composition C2H8S, computed with ωB97M-V/def2-TZVPD.

Properties
HOMO (Ha): -0.361
Net charge: 0
Kohn-Sham gap (eV): 10.74
2S+1: 1
LUMO (eV): 0.92

Each line ends with the Mulliken charge.
Positions of all 11 atoms, in Å:
C -1.07 1.70 0.17  -0.819
C -0.68 1.91 -1.34  -0.714
H -1.44 0.66 0.20  0.232
H -1.71 2.45 0.60  0.284
H -0.21 1.87 0.71  0.291
H -1.34 1.25 -1.99  0.235
H -0.76 2.97 -1.49  0.251
H 0.35 1.61 -1.42  0.241
S 2.38 -4.84 0.85  -0.291
H 3.12 -4.63 2.01  0.151
H 1.36 -4.96 1.69  0.140


#ii
2 unconnected molecules or ions with the total composition C2H8S, computed with ωB97M-V/def2-TZVPD.

Properties
HOMO (Ha): -0.329
Net charge: 0
Kohn-Sham gap (eV): 9.94
2S+1: 1
LUMO (eV): 0.98

Each line ends with the Mulliken charge.
Positions of all 11 atoms, in Å:
C -0.87 -3.99 1.19  -0.639
S -1.67 -5.20 2.43  -0.208
H -0.89 -2.86 1.34  0.300
H 0.19 -4.40 0.96  0.213
H -1.59 -4.39 0.46  0.224
H -2.25 -4.30 3.18  0.110
C 1.43 5.06 -1.94  -0.894